-- Contents --
<<<
1.
40
Properties=species:S:1:pos:R:3:forces:R:3 method="wB97M-V/def2-TZVPD" largest_force_ev_per_a=0.6 e_above_lowest_kcal_mol=75.0 charge=0 e_lumo_ev=0.8 smiles=COc1ccc(NCCNc2ccc(OC)cc2)cc1 e_homo_ha=-0.2673 orbital_gap_ha=0.2973 total_energy_ha=-881.65155
O 6.648 1.139 0.063 -0.3 0.1 0.2
O -6.595 1.270 -0.084 0.3 0.1 -0.1
N 1.328 -0.394 0.563 -0.5 0.1 0.2
N -1.324 -0.445 -0.465 0.5 0.1 -0.1
C -4.338 1.635 -0.609 -0.1 -0.1 0.1
C -7.621 0.432 0.382 -0.1 -0.1 0.1
C 0.743 -1.602 0.026 -0.1 -0.1 0.1
C -0.767 -1.572 0.244 0.1 0.0 -0.1
C -3.624 -0.913 0.180 0.4 0.1 0.0
C 3.238 0.884 1.247 0.1 -0.1 -0.1
C 7.499 0.589 -0.910 0.1 -0.1 -0.1
C 2.676 -0.096 0.423 0.4 0.1 -0.2
C -4.947 -0.509 0.266 -0.4 0.2 0.0
C -5.319 0.767 -0.128 0.0 -0.1 0.0
C 4.550 1.269 1.101 0.1 -0.1 -0.1
C 5.357 0.685 0.123 0.0 0.0 0.0
C -3.026 1.233 -0.692 -0.1 0.0 0.1
C -2.640 -0.054 -0.302 -0.4 -0.1 0.0
C 4.811 -0.292 -0.695 0.4 0.2 0.0
C 3.488 -0.678 -0.544 -0.4 0.0 0.2
H -5.674 -1.210 0.646 -0.1 0.0 0.0
H 7.637 -0.488 -0.764 0.0 0.0 0.0
H 3.100 -1.444 -1.196 -0.1 -0.1 -0.1
H 2.628 1.347 2.010 -0.1 0.1 0.1
H -8.535 1.022 0.323 0.0 -0.1 0.0
H -0.983 -1.524 1.325 0.0 -0.1 -0.1
H 0.938 -1.635 -1.048 0.0 -0.1 0.0
H 5.401 -0.773 -1.459 0.1 0.0 -0.1
H -7.729 -0.461 -0.243 0.0 0.0 0.0
H -7.455 0.128 1.421 0.0 0.0 0.0
H -1.203 -2.498 -0.146 0.1 0.0 0.1
H 0.959 -0.142 1.470 0.0 -0.1 -0.1
H 1.163 -2.511 0.486 0.0 0.1 -0.1
H 8.457 1.093 -0.784 0.0 -0.1 -0.1
H -3.368 -1.914 0.490 0.0 -0.1 0.0
H 7.126 0.772 -1.923 0.0 0.0 0.0
H 4.980 2.025 1.738 0.0 0.1 0.1
H -2.277 1.917 -1.065 0.1 0.1 -0.1
H -4.634 2.628 -0.910 0.0 0.1 0.0
H -0.671 0.321 -0.558 0.0 -0.1 0.1

=====

2.
43
Properties=species:S:1:pos:R:3:forces:R:3 method="wB97M-V/def2-TZVPD" largest_force_ev_per_a=4.0 e_above_lowest_kcal_mol=82.2 charge=0 e_lumo_ev=0.6 smiles="O=C(C[C@H]1Sc2ccccc2N(C[C@@H]2CCCCO2)C1=O)NO" e_homo_ha=-0.3189 orbital_gap_ha=0.3399 total_energy_ha=-1430.27662
S 0.264 1.365 1.982 -0.7 0.2 0.5
O -0.945 0.061 -1.100 -0.2 1.5 1.2
O -0.496 4.653 0.119 1.6 -1.8 -1.1
O 2.020 1.440 -1.328 -0.5 -0.5 -0.2
O -1.221 3.428 -2.316 -0.1 0.3 2.9
N 1.668 -0.363 -0.002 -0.3 -0.8 -0.4
N -0.031 3.108 -1.516 -0.9 1.5 0.9
C -2.690 -2.001 -1.718 1.8 -1.6 -0.9
C 0.294 3.792 -0.357 -2.1 1.3 0.4
C 0.677 -0.947 3.477 -0.1 -0.6 1.8
C 1.710 0.991 -0.233 1.7 0.2 -0.4
C 1.218 -2.216 3.794 0.7 1.3 -3.7
C -2.333 0.207 -0.728 -0.6 1.3 -0.8
C 2.062 -2.814 2.812 -0.3 0.9 0.4
C 1.060 -1.237 -1.039 0.1 -0.9 0.0
C 0.882 -0.264 2.288 0.1 -0.1 0.1
C -0.480 -1.261 -0.874 0.3 1.0 -1.3
C -3.091 -0.589 -1.801 -1.7 1.4 -0.1
C 1.610 -0.913 1.300 0.4 0.1 0.7
C 1.572 3.431 0.504 -1.6 -0.4 -0.3
C 1.618 1.948 0.941 -0.5 -0.1 -0.6
C 2.282 -2.098 1.628 -0.3 -0.8 -0.7
C -1.140 -2.036 -1.952 -1.1 -2.6 0.1
H -2.661 1.311 -0.813 1.0 -1.6 0.3
H -2.520 -0.124 0.326 0.2 0.1 -0.7
H -0.787 -3.084 -1.958 -0.1 0.2 0.0
H 1.299 -0.839 -2.036 -0.1 0.1 0.4
H -3.231 -2.683 -2.444 0.6 0.7 1.0
H 2.507 1.877 1.513 1.1 -0.4 0.7
H 2.880 -2.576 0.842 -0.1 0.3 0.3
H -4.203 -0.566 -1.751 0.6 0.5 0.4
H -2.843 -0.099 -2.767 0.0 -0.5 0.4
H 2.565 -3.789 2.909 -0.4 0.6 0.3
H -2.767 -2.315 -0.673 -0.7 -0.5 -0.2
H 0.896 -2.682 4.659 -0.2 -0.9 1.6
H -0.898 -1.562 0.076 0.6 -0.5 0.8
H 2.518 3.672 0.043 0.1 -0.1 -0.6
H 0.074 -0.506 4.284 0.2 0.1 -0.6
H -0.944 -1.617 -2.912 0.5 0.4 -0.8
H 1.523 4.080 1.395 -0.3 -0.4 -0.4
H 1.475 -2.309 -1.031 -0.5 1.7 0.3
H -1.978 3.725 -1.649 2.7 -0.8 -1.4
H 0.585 2.405 -1.897 -0.3 -0.1 -0.4

=====

3.
41
Properties=species:S:1:pos:R:3:forces:R:3 method="wB97M-V/def2-TZVPD" multiplicity=2 largest_force_ev_per_a=3.5 charge=0 e_lumo_ev="0.2 / 0.2" e_homo_ha="-0.1676 / -0.1134" orbital_gap_ha="0.1750 / 0.1210" total_energy_ha=-1997.09600
Ti -0.331 -0.175 0.016 0.0 -1.2 0.8
P -0.075 -2.638 0.060 -0.6 0.4 0.2
O -0.124 0.408 1.792 1.0 0.9 3.3
N 0.436 0.564 4.040 -1.2 -0.6 0.0
N 1.567 0.806 4.740 0.4 0.2 1.5
C 0.726 0.711 2.714 -1.1 -0.8 -1.5
C 0.915 0.293 -1.770 -0.4 0.4 -0.6
C -1.281 1.083 -1.519 0.9 0.5 -0.7
C -2.495 0.160 6.327 0.2 -0.1 -0.3
>>>

-- Exercise --
Next, give back the calculation results earlier on from the line with "-0.784 0.0" to the end without altering anything.

-- Written answer --
H 8.457 1.093 -0.784 0.0 -0.1 -0.1
H -3.368 -1.914 0.490 0.0 -0.1 0.0
H 7.126 0.772 -1.923 0.0 0.0 0.0
H 4.980 2.025 1.738 0.0 0.1 0.1
H -2.277 1.917 -1.065 0.1 0.1 -0.1
H -4.634 2.628 -0.910 0.0 0.1 0.0
H -0.671 0.321 -0.558 0.0 -0.1 0.1

=====

2.
43
Properties=species:S:1:pos:R:3:forces:R:3 method="wB97M-V/def2-TZVPD" largest_force_ev_per_a=4.0 e_above_lowest_kcal_mol=82.2 charge=0 e_lumo_ev=0.6 smiles="O=C(C[C@H]1Sc2ccccc2N(C[C@@H]2CCCCO2)C1=O)NO" e_homo_ha=-0.3189 orbital_gap_ha=0.3399 total_energy_ha=-1430.27662
S 0.264 1.365 1.982 -0.7 0.2 0.5
O -0.945 0.061 -1.100 -0.2 1.5 1.2
O -0.496 4.653 0.119 1.6 -1.8 -1.1
O 2.020 1.440 -1.328 -0.5 -0.5 -0.2
O -1.221 3.428 -2.316 -0.1 0.3 2.9
N 1.668 -0.363 -0.002 -0.3 -0.8 -0.4
N -0.031 3.108 -1.516 -0.9 1.5 0.9
C -2.690 -2.001 -1.718 1.8 -1.6 -0.9
C 0.294 3.792 -0.357 -2.1 1.3 0.4
C 0.677 -0.947 3.477 -0.1 -0.6 1.8
C 1.710 0.991 -0.233 1.7 0.2 -0.4
C 1.218 -2.216 3.794 0.7 1.3 -3.7
C -2.333 0.207 -0.728 -0.6 1.3 -0.8
C 2.062 -2.814 2.812 -0.3 0.9 0.4
C 1.060 -1.237 -1.039 0.1 -0.9 0.0
C 0.882 -0.264 2.288 0.1 -0.1 0.1
C -0.480 -1.261 -0.874 0.3 1.0 -1.3
C -3.091 -0.589 -1.801 -1.7 1.4 -0.1
C 1.610 -0.913 1.300 0.4 0.1 0.7
C 1.572 3.431 0.504 -1.6 -0.4 -0.3
C 1.618 1.948 0.941 -0.5 -0.1 -0.6
C 2.282 -2.098 1.628 -0.3 -0.8 -0.7
C -1.140 -2.036 -1.952 -1.1 -2.6 0.1
H -2.661 1.311 -0.813 1.0 -1.6 0.3
H -2.520 -0.124 0.326 0.2 0.1 -0.7
H -0.787 -3.084 -1.958 -0.1 0.2 0.0
H 1.299 -0.839 -2.036 -0.1 0.1 0.4
H -3.231 -2.683 -2.444 0.6 0.7 1.0
H 2.507 1.877 1.513 1.1 -0.4 0.7
H 2.880 -2.576 0.842 -0.1 0.3 0.3
H -4.203 -0.566 -1.751 0.6 0.5 0.4
H -2.843 -0.099 -2.767 0.0 -0.5 0.4
H 2.565 -3.789 2.909 -0.4 0.6 0.3
H -2.767 -2.315 -0.673 -0.7 -0.5 -0.2
H 0.896 -2.682 4.659 -0.2 -0.9 1.6
H -0.898 -1.562 0.076 0.6 -0.5 0.8
H 2.518 3.672 0.043 0.1 -0.1 -0.6
H 0.074 -0.506 4.284 0.2 0.1 -0.6
H -0.944 -1.617 -2.912 0.5 0.4 -0.8
H 1.523 4.080 1.395 -0.3 -0.4 -0.4
H 1.475 -2.309 -1.031 -0.5 1.7 0.3
H -1.978 3.725 -1.649 2.7 -0.8 -1.4
H 0.585 2.405 -1.897 -0.3 -0.1 -0.4

=====

3.
41
Properties=species:S:1:pos:R:3:forces:R:3 method="wB97M-V/def2-TZVPD" multiplicity=2 largest_force_ev_per_a=3.5 charge=0 e_lumo_ev="0.2 / 0.2" e_homo_ha="-0.1676 / -0.1134" orbital_gap_ha="0.1750 / 0.1210" total_energy_ha=-1997.09600
Ti -0.331 -0.175 0.016 0.0 -1.2 0.8
P -0.075 -2.638 0.060 -0.6 0.4 0.2
O -0.124 0.408 1.792 1.0 0.9 3.3
N 0.436 0.564 4.040 -1.2 -0.6 0.0
N 1.567 0.806 4.740 0.4 0.2 1.5
C 0.726 0.711 2.714 -1.1 -0.8 -1.5
C 0.915 0.293 -1.770 -0.4 0.4 -0.6
C -1.281 1.083 -1.519 0.9 0.5 -0.7
C -2.495 0.160 6.327 0.2 -0.1 -0.3